_Assignment_
Your job: type out the whole of the calculation results further below without altering anything.

_File_
- - -
9
Properties=species:S:1:pos:R:3:mulliken_charge:R:1 method="wB97M-V/def2-TZVPD" charge=+1 e_tot_ha=-283.5123 relative_energy_kcal_mol=27.50 largest_force_ev_per_a=3.12
C 1.42820 0.01441 -0.95655 0.03
C -0.75588 -0.92736 0.41763 0.72
N -1.47689 -0.17400 1.17640 -0.32
O -0.51105 -1.88070 -0.13262 -0.17
O 0.62884 0.55333 -0.23949 -0.42
H 2.40949 0.45002 -1.35837 0.29
H 1.31384 -1.12992 -1.01677 0.22
H -2.44119 -0.22288 1.45489 0.33
H -1.22190 0.76590 0.89122 0.32


10
Properties=species:S:1:pos:R:3:mulliken_charge:R:1 method="wB97M-V/def2-TZVPD" e_tot_ha=-625.1181 relative_energy_kcal_mol=71.03 largest_force_ev_per_a=3.78
C -0.16675 0.73305 -0.71477 -0.37
C 0.40858 0.44476 0.70456 -0.29
N -0.92820 0.06348 0.41448 -0.21
O 2.39238 -0.75665 -1.00917 -0.71
O 0.17947 -2.00222 -0.39696 -0.71
P 1.05377 -0.81712 -0.49926 0.89
H -0.73293 1.65696 -1.02618 0.31
H 0.64792 0.97769 1.54448 0.48
H -1.77961 0.66199 0.57591 0.29
H -1.07464 -0.96194 0.40691 0.31


10
Properties=species:S:1:pos:R:3:mulliken_charge:R:1 method="wB97M-V/def2-TZVPD" charge=-1 e_tot_ha=-681.9957 relative_energy_kcal_mol=58.00 largest_force_ev_per_a=0.93
C 1.22160 -0.30320 0.18345 -0.45
C 2.32730 0.29645 -0.20088 -0.42
N -2.30768 -1.46459 0.05124 -0.51
O -4.00429 0.45694 -0.27779 -0.57
O -1.66307 1.03131 0.26715 -0.53
S -2.64385 -0.04922 0.01481 0.62
H 0.88399 -0.29626 1.20504 0.20
H 0.56125 -0.80595 -0.50448 0.21
H 2.65664 0.30986 -1.22944 0.22
H 2.96811 0.82467 0.49090 0.22


10
Properties=species:S:1:pos:R:3:mulliken_charge:R:1 method="wB97M-V/def2-TZVPD" charge=+1 e_tot_ha=-358.5062 smiles="CO[C@@H]1O[N+]1=O" relative_energy_kcal_mol=71.39 largest_force_ev_per_a=7.08
C 1.60192 0.15630 -0.38867 -0.59
O 0.35374 -0.27152 -0.75198 -0.30
C -0.82120 -0.38969 0.52690 0.22
O -1.96765 -1.08646 0.03738 -0.13
N -1.98553 0.21741 0.18199 0.76
O -2.67702 1.10820 -0.03040 -0.27
H 2.14913 -0.55907 0.23335 0.31
H 1.61626 1.15649 0.06597 0.32
H 2.09817 0.25622 -1.36634 0.26
H -0.36782 -0.58787 1.49179 0.43


What did we get for HOMO energy? Answer: -0.6020; -0.3615; -0.1502; -0.5863 Ha, in the order shown.

----------

Density functional theory data (ωB97M-V/def2-TZVPD) for 5 unconnected molecules or ions with the total composition C41H83N4O17.

The geometry in XYZ format:
```
145
Properties=species:S:1:pos:R:3:mulliken_charge:R:1
C 5.36 1.05 -0.97 -0.78
H 4.99 1.92 -0.42 0.49
C -2.31 -0.10 -0.87 1.80
C -2.92 -1.20 -1.75 -0.96
C -6.09 1.55 -2.86 -0.58
C 0.16 -0.95 -1.07 -1.67
O 8.73 -8.39 -0.38 -0.33
H 2.26 0.82 -3.62 0.28
O -7.51 5.98 3.50 -0.35
H -6.79 2.14 -2.27 0.44
H 5.02 -1.11 5.15 0.36
H -3.83 -0.82 -2.20 0.76
H -9.40 6.63 2.91 0.30
H 6.10 -5.87 -2.37 0.28
H 0.14 1.31 0.29 0.52
C -0.54 0.61 0.78 -1.63
H 10.15 -9.67 -1.21 0.30
H 6.84 -0.79 -2.12 0.29
H -1.20 -1.39 0.47 1.06
H 7.34 1.58 -0.28 0.45
H -8.07 7.75 2.56 0.30
H -2.81 2.25 3.61 0.48
H 1.97 3.82 -3.49 0.43
H 8.91 -10.46 -0.22 0.29
C -1.04 0.40 4.49 -1.29
H -8.60 7.51 4.24 0.22
C -6.21 4.15 -7.36 -1.08
H -6.03 0.54 -2.46 0.15
C -3.14 -2.49 -0.96 -0.35
O 2.87 1.40 9.18 -0.33
H 8.40 -0.01 -2.13 0.46
H -5.11 2.02 -2.84 0.23
H -3.89 -0.65 0.40 0.54
C -7.47 3.48 -6.87 -0.17
C 5.13 -7.79 -2.42 -1.12
H -3.97 -4.41 0.79 0.30
H 4.45 -1.99 7.39 0.29
H -5.53 -2.30 -2.18 0.33
C -1.73 1.07 -3.17 -0.96
H 4.63 -7.67 -1.46 0.29
H -2.62 0.94 -3.79 0.45
C -5.56 -2.14 -1.10 -1.04
C 6.37 -6.92 -2.48 -0.19
C -7.30 5.20 2.45 0.75
O -7.18 2.32 -6.05 -0.39
O 3.77 -0.27 8.17 -0.35
C -8.46 7.04 3.27 -0.63
O -2.21 -3.24 -0.77 -0.61
C 7.51 -0.18 -1.52 -0.63
C -6.80 2.58 -4.81 0.74
H -8.05 3.08 -7.70 0.29
H -2.23 -1.44 -2.56 0.42
H 4.27 2.94 -2.85 0.27
C 2.00 2.54 9.19 -0.61
H -5.58 3.43 -7.90 0.29
H -0.70 1.38 4.17 0.20
H 2.01 2.92 10.21 0.22
C 1.58 2.85 -3.83 -1.00
O -7.85 5.27 1.38 -0.55
O 0.78 -2.13 -0.62 -0.39
C 4.57 0.89 -2.28 -0.66
H -0.16 -1.15 -2.10 0.25
O -6.37 4.29 2.78 -0.35
H 2.37 3.30 8.50 0.29
H -0.67 -0.39 3.83 0.25
H -3.11 1.70 -1.66 -0.38
H -0.57 0.22 5.46 0.44
C -1.00 -0.51 -0.16 0.15
C -5.07 4.02 0.72 -0.70
- - -

_Result_
9
Properties=species:S:1:pos:R:3:mulliken_charge:R:1 method="wB97M-V/def2-TZVPD" charge=+1 e_tot_ha=-283.5123 relative_energy_kcal_mol=27.50 largest_force_ev_per_a=3.12
C 1.42820 0.01441 -0.95655 0.03
C -0.75588 -0.92736 0.41763 0.72
N -1.47689 -0.17400 1.17640 -0.32
O -0.51105 -1.88070 -0.13262 -0.17
O 0.62884 0.55333 -0.23949 -0.42
H 2.40949 0.45002 -1.35837 0.29
H 1.31384 -1.12992 -1.01677 0.22
H -2.44119 -0.22288 1.45489 0.33
H -1.22190 0.76590 0.89122 0.32


10
Properties=species:S:1:pos:R:3:mulliken_charge:R:1 method="wB97M-V/def2-TZVPD" e_tot_ha=-625.1181 relative_energy_kcal_mol=71.03 largest_force_ev_per_a=3.78
C -0.16675 0.73305 -0.71477 -0.37
C 0.40858 0.44476 0.70456 -0.29
N -0.92820 0.06348 0.41448 -0.21
O 2.39238 -0.75665 -1.00917 -0.71
O 0.17947 -2.00222 -0.39696 -0.71
P 1.05377 -0.81712 -0.49926 0.89
H -0.73293 1.65696 -1.02618 0.31
H 0.64792 0.97769 1.54448 0.48
H -1.77961 0.66199 0.57591 0.29
H -1.07464 -0.96194 0.40691 0.31


10
Properties=species:S:1:pos:R:3:mulliken_charge:R:1 method="wB97M-V/def2-TZVPD" charge=-1 e_tot_ha=-681.9957 relative_energy_kcal_mol=58.00 largest_force_ev_per_a=0.93
C 1.22160 -0.30320 0.18345 -0.45
C 2.32730 0.29645 -0.20088 -0.42
N -2.30768 -1.46459 0.05124 -0.51
O -4.00429 0.45694 -0.27779 -0.57
O -1.66307 1.03131 0.26715 -0.53
S -2.64385 -0.04922 0.01481 0.62
H 0.88399 -0.29626 1.20504 0.20
H 0.56125 -0.80595 -0.50448 0.21
H 2.65664 0.30986 -1.22944 0.22
H 2.96811 0.82467 0.49090 0.22


10
Properties=species:S:1:pos:R:3:mulliken_charge:R:1 method="wB97M-V/def2-TZVPD" charge=+1 e_tot_ha=-358.5062 smiles="CO[C@@H]1O[N+]1=O" relative_energy_kcal_mol=71.39 largest_force_ev_per_a=7.08
C 1.60192 0.15630 -0.38867 -0.59
O 0.35374 -0.27152 -0.75198 -0.30
C -0.82120 -0.38969 0.52690 0.22
O -1.96765 -1.08646 0.03738 -0.13
N -1.98553 0.21741 0.18199 0.76
O -2.67702 1.10820 -0.03040 -0.27
H 2.14913 -0.55907 0.23335 0.31
H 1.61626 1.15649 0.06597 0.32
H 2.09817 0.25622 -1.36634 0.26
H -0.36782 -0.58787 1.49179 0.43


What did we get for HOMO energy? Answer: -0.6020; -0.3615; -0.1502; -0.5863 Ha, in the order shown.

----------

Density functional theory data (ωB97M-V/def2-TZVPD) for 5 unconnected molecules or ions with the total composition C41H83N4O17.

The geometry in XYZ format:
```
145
Properties=species:S:1:pos:R:3:mulliken_charge:R:1
C 5.36 1.05 -0.97 -0.78
H 4.99 1.92 -0.42 0.49
C -2.31 -0.10 -0.87 1.80
C -2.92 -1.20 -1.75 -0.96
C -6.09 1.55 -2.86 -0.58
C 0.16 -0.95 -1.07 -1.67
O 8.73 -8.39 -0.38 -0.33
H 2.26 0.82 -3.62 0.28
O -7.51 5.98 3.50 -0.35
H -6.79 2.14 -2.27 0.44
H 5.02 -1.11 5.15 0.36
H -3.83 -0.82 -2.20 0.76
H -9.40 6.63 2.91 0.30
H 6.10 -5.87 -2.37 0.28
H 0.14 1.31 0.29 0.52
C -0.54 0.61 0.78 -1.63
H 10.15 -9.67 -1.21 0.30
H 6.84 -0.79 -2.12 0.29
H -1.20 -1.39 0.47 1.06
H 7.34 1.58 -0.28 0.45
H -8.07 7.75 2.56 0.30
H -2.81 2.25 3.61 0.48
H 1.97 3.82 -3.49 0.43
H 8.91 -10.46 -0.22 0.29
C -1.04 0.40 4.49 -1.29
H -8.60 7.51 4.24 0.22
C -6.21 4.15 -7.36 -1.08
H -6.03 0.54 -2.46 0.15
C -3.14 -2.49 -0.96 -0.35
O 2.87 1.40 9.18 -0.33
H 8.40 -0.01 -2.13 0.46
H -5.11 2.02 -2.84 0.23
H -3.89 -0.65 0.40 0.54
C -7.47 3.48 -6.87 -0.17
C 5.13 -7.79 -2.42 -1.12
H -3.97 -4.41 0.79 0.30
H 4.45 -1.99 7.39 0.29
H -5.53 -2.30 -2.18 0.33
C -1.73 1.07 -3.17 -0.96
H 4.63 -7.67 -1.46 0.29
H -2.62 0.94 -3.79 0.45
C -5.56 -2.14 -1.10 -1.04
C 6.37 -6.92 -2.48 -0.19
C -7.30 5.20 2.45 0.75
O -7.18 2.32 -6.05 -0.39
O 3.77 -0.27 8.17 -0.35
C -8.46 7.04 3.27 -0.63
O -2.21 -3.24 -0.77 -0.61
C 7.51 -0.18 -1.52 -0.63
C -6.80 2.58 -4.81 0.74
H -8.05 3.08 -7.70 0.29
H -2.23 -1.44 -2.56 0.42
H 4.27 2.94 -2.85 0.27
C 2.00 2.54 9.19 -0.61
H -5.58 3.43 -7.90 0.29
H -0.70 1.38 4.17 0.20
H 2.01 2.92 10.21 0.22
C 1.58 2.85 -3.83 -1.00
O -7.85 5.27 1.38 -0.55
O 0.78 -2.13 -0.62 -0.39
C 4.57 0.89 -2.28 -0.66
H -0.16 -1.15 -2.10 0.25
O -6.37 4.29 2.78 -0.35
H 2.37 3.30 8.50 0.29
H -0.67 -0.39 3.83 0.25
H -3.11 1.70 -1.66 -0.38
H -0.57 0.22 5.46 0.44
C -1.00 -0.51 -0.16 0.15
C -5.07 4.02 0.72 -0.70